The release of Rob Bell's book Love Wins has become an event. Maybe even an Advent. The conversation has touched a nerve in USA and the twittersphere has been twitching with pithy tweets and retweets for over a week.
"Farewell Rob Bell" has probably become the most famous Christian tweet of all time, even though no one really knows what John Piper meant by it. T-shirts will be made. Bumper stickers. The Farewell Rob Bell Bible?
It reminds me of 2004, when it was Don Carson and Brian McLaren. Carson's tapes on the emerging church excited the blogosphere into a frenzy of activity. At the outbreak of that controversy, I found myself heavily involved in defending the emerging church and standing up to critics.
Who had the skinny BACK THEN????
Attached: crystal structures:
┌──
Simulated XRD peak list of Sr3MgCr2S2O5 for λ = 1.5418 Å (Cu Kα), from a structure optimized by DFT (GGA+U).
Peak positions follow from Bragg's law for the DFT cell and can differ from measured ones.

Principal peaks in the range 15° ≤ 2θ ≤ 90°, most intense first:
Position (°2θ)  d_spacing  I_rel
32.4  2.763  100
31.9  2.805  45
57.2  1.611  37
45.7  1.983  35
37.8  2.379  20
58.1  1.587  13
37.6  2.390  11
66.7  1.402  10
67.8  1.381  9
43.4  2.085  8

Structure:
```
Sr3MgCr2S2O5
1.0
-1.9832 1.9832 13.4768
1.9832 -1.9832 13.4768
1.9832 1.9832 -13.4768
Sr Mg Cr S O
3 1 2 2 5
direct
0.0000 0.0000 0.0000
0.1377 0.1377 0.0000
0.8623 0.8623 0.0000
0.2500 0.7500 0.5000
0.4289 0.4289 0.0000
0.5711 0.5711 0.0000
0.3070 0.3070 0.0000
0.6930 0.6930 0.0000
0.0804 0.5804 0.5000
0.4196 0.9196 0.5000
0.5000 0.5000 0.0000
0.5796 0.0796 0.5000
0.9204 0.4204 0.5000
```

----------

# KV2AgO6
Calculated powder XRD pattern, Cu Kα, 1.54184 Å. Input: DFT lattice parameters and positions (PBE+U).

Structural model:
```
20
Lattice="5.436 -5.740 0.000 5.436 5.740 0.000 -1.867 0.000 5.650" Properties=species:S:1:pos:R:3 pbc="T T T"
K 4.036 4.523 4.237
K 4.969 -4.523 1.412
V 1.864 0.900 4.534
V 2.797 -0.900 1.709
V 6.208 0.900 3.941
V 7.141 -0.900 1.116
Ag 4.969 2.805 1.412
Ag 4.036 -2.805 4.237
O 0.266 1.072 4.028
O 2.478 2.410 4.993
O 1.199 -1.072 1.203
O 2.817 0.256 3.115
O 3.750 -0.256 0.290
O 5.594 2.410 3.482
O 3.411 -2.410 2.168
O 5.255 0.256 5.360
O 6.188 -0.256 2.535
O 7.806 1.072 4.447
O 6.527 -2.410 0.657
O 8.739 -1.072 1.622
```

Largest 6 diffraction maxima, sorted by position, 2θ = 15–90°:
5.161 Å, I 76.6
3.838 Å, I 100.0
3.588 Å, I 72.9
3.313 Å, I 50.0
3.191 Å, I 58.8
2.825 Å, I 48.3
└──
During that time, I stumbled on a guy who I thought had something to say that would add clarity and balance to the kerfuffel. His name was Scot McKnight. And I was right . . . Scot had the skinny and his thoughts were crucial to understanding the argument and finding some sense in it.
Now its 2011. Rob Bell is in the hot seat and Al Mohler about to take the first shot. At Southern Baptist Theological Seminary, Al Mohler and his guests will host a panel discussion this week just to deal with the Love Wins book.
If I had to point to a single blogger who I think could add some clarity and understanding to this conversation on hell, who would it be?
Who has the skinny on this conversation NOW?
I dont think Al Mohler has the skinny. For all his talk on the doctrine of hell under attack by liberalism, universalism, wimpy catholicism, and seeker-sensitivism, there is very little appeal to the Scriptures themselves which is where this debate should be centered.
I am not convinced Rob Bell has the skinny. And if he has, he is not talking.
I don't think Al Mohler's panel-buddies have the skinny either.
Justin Taylor has leveraged the whole conversation with a single blog post, which is really impressive, but I feel his compulsion to label Rob Bell a universalist will prevent some good study of the Scriptures.
Russell Moore has treated the emerging church as more of a cultural taste ("black turtlenecks and gottees") and less of a rigorous resourcing of Scriptural and historical evidence. But he seems quite open to learn and he might turn out to have something to say. But not the skinny.
Denny Burk does not seem aware of the nuances of the hell conversation. In his imagined banter with Rob Bell, he does not differentiate between the terms "eternal life" and "heaven", just as he thoughtlessly blends "judgement" and "hell". If he did that with many emerging church leaders in the room, he would have a serious argument on his hands. And if he is anything like Kevin DeYoung, he probably treat all instances of hell in the New Testamant, including "Tartarus" "Hades" and "Gehenna", as pointing to a single spacial reality in which all unbelievers will be punished forever. I dont think he is very familiar with this conversation or he would not ignore the nuances so easily.
I can think of someone, but I need to say that although this blogger's view of hell, judgement, heaven, and the Kingdom of God is heavily influenced by NT Wright and the New Perspective, as well as years of participation in the emerging church circles, he will not represent everyone and possibly not even Rob Bell. But he carries the conversation in a way that resonates with a lot of us and I am hoping he will be taken seriously.
I think Andrew Perriman has the skinny and is the blogger to watch this week.
You might have read Andrew Perriman on why he thinks Tim Keller gets hell wrong but the post to read is Kevin DeYoung, Rob Bell, and the argument about hell and even better, keep reading the comments where Peter Wilkinson adds some great push-back and good addtions to the thread.
When you are done, you will see his other recent posts on Justin Taylor, the emerging church and the new perspective, and theology in general. But start with the Kevin DeYoung post first, and expect some good thoughts during the week. And then . . . tell me if I was wrong about Andrew Perriman having the skinny.
Previously on TSK: Before you read Love Wins
Wonder if Big Al invited Rob to the event at Southern? Now that would be something worth watching.
I don’t know whether I know enough about Hell to do the skinny Andrew, but I remember some nightclubs in Swansea in the early ’80s which were an near as it gets to Purgatory.
I’ve started to visit Andrew’s blog regularly. He is clearly articulate, but I sometimes wonder if after deconstructing the old what we’re left with is too nuanced and lacking enough drama to compete with the traditional view. That seems to be the challenge. The old view has all the fire and brimstone and centuries of branding, the emerging view is going to need some substance to compete.
Another thing to watch out for are the book sales once people actually read Love Wins. This brilliant marketing plan is how one handles the release of a vehicle (e.g., Snooki’s book or a movie staring Paulie Shore) that is considered to be a dud. The strategy is to put up information “about” the vehicle that’s designed to build a buzz without offering trailers or book excerpts for the public to review. Along those lines, the movie and book either isn’t available for the press to review or it’s only shown to a very highly selective media pool that the publicist knows will create the kind of buzz they wish to generate. The intent in this campaign is to make as much money before people get a chance to actually see the product because then the negative buzz builds and product soon fades into the background.
In this case, I was told that review copies for Love Wins were being mailed this week to coincide with the release date of 3/15. Also, unlike Bell’s previous books, it doesn’t look like galleys were sent to outlets like Publishers Weekly who reviewed his previous offerings. (In today’s economy, galleys are limited to major outlets like PW that have a long lead time.) Meanwhile, folks have already gotten their review copies of Brian’s latest book, which also releases on the same day. (Brian endorsed Rob’s book and I find it telling that there isn’t any cross publicity here given they both have the same publisher.)
Rob is a brilliant performer and I am sure he will dazzle tomorrow night – and the interviewer doesn’t know enough about Reformed theology to ask the right Qs that will provide clarity on where Bell stands in terms of this evangelical debate. What would be fascinating (and it won’t happen) would be to have Rob Bell debate Tim Keller. At the end of that exchange, evangelical pastors would know where Bell stands and they can decide if they want to support this new book or stick to his older fare especially the NOOMA videos.
At any rate, I’m sure the internet will be ablaze at 8pm EST (when the interview ends), a move that will help feed into the publisher generated pre-pub buzz.
I wouldn’t read into the marketing strategy that the book is necessarily a dud. I think Rob/Harper One is employing the same kind of strategy, not because they have a dud on their hands, but because they are trying to bypass “the guild” and reach a popular audience. Rob is really putting his neck out there. If they were to market this according to convention, Piper, DeYoung, et. al. would have the inquisition structure in place to kill the message and the messenger.
I hope skirting convention works. I’m thinking the release of this book is a Wittenburg door moment.
That’s an excellent and very apt comment, Mark. There is clearly more work to be done.
I hear you but if that were the case, then they would have used the marketing strategy that’s employed when pushing a product that has a very loyal audience and also a very strong opposition (e.g., Sarah Palin or Ann Coulter’s books). The strategy is to send review copies of the book only to those in the media who are sympathetic to the author. That way some major positive buzz is built up pre-pub by those in the media who have actually read the book and can comment in depth. This then attracts the fans and they buy the book in droves to the point where any negative criticism is effectively drowned out.
Not sending out any copies is a sign that they don’t want anyone to actually read the book. In particular, you DON”T withhold sending the book around to Publishers Weekly, Library Journal, etc. unless you have a product that you sense will get a crappy review. You want those kind of trade reviews because these are the rags read by booksellers and libraries who pre-order the book so it’s on the shelves the day it releases.
I am commending Harper One for a brilliant marketing plan that got their product out there in a very horrible market. Kuddos.
As a big fan, I’m keeping my eye on McKnight, but will add Perriman. Great links!
Yeah, I don’t think Andrew Perriman has the skinny, either. I might agree that our doctrine of hell needs to be looked at and reevaluated, but Perriman doesn’t seem to have it.
Nice work evaluating some of the blather out there…. thanks for the link to Perriman’s stuff, and AP – good work!
Here the entry breaks off for records of crystals:
+++
Record 1
Structure and computed PXRD pattern of Cr2P4H3O16 (the PBE+U geometry in the Materials Project; a wavelength of 1.5418 Å).
Intensities are scaled so that the largest is 100.

Crystal structure
a b c (Å): 4.927 7.388 7.990
angles (deg): 90.40 90.46 102.03
Element x y z (fractional)
Cr  0.000  0.000  0.000
Cr  0.495  0.497  0.502
P  0.099  0.741  0.669
P  0.383  0.746  0.159
P  0.603  0.249  0.840
P  0.890  0.256  0.334
H  0.346  0.891  0.475
H  0.656  0.120  0.534
H  0.922  0.465  0.981
O  0.032  0.800  0.844
O  0.157  0.341  0.432
O  0.195  0.893  0.168
O  0.242  0.573  0.060
O  0.248  0.921  0.576
O  0.295  0.602  0.673
O  0.329  0.160  0.923
O  0.430  0.692  0.342
O  0.553  0.297  0.656
O  0.659  0.839  0.079
O  0.695  0.396  0.329
O  0.727  0.431  0.937
O  0.737  0.079  0.430
O  0.796  0.108  0.834
O  0.831  0.655  0.572
O  0.954  0.197  0.159

Most intense lines, 10° ≤ 2θ ≤ 80°, sorted by position:
| 2theta | I/Imax |
| --- | --- |
| 16.5 | 63 |
| 16.6 | 59 |
| 22.8 | 74 |
| 24.2 | 100 |
| 25.4 | 37 |
| 25.6 | 35 |
| 26.6 | 27 |
| 29.8 | 83 |

Record 2
Structure and computed PXRD pattern of MgMn6O11F (the PBE+U geometry in the Materials Project; a wavelength of 1.5418 Å).
Intensities are scaled so that the largest is 100.

Crystal structure
a b c (Å): 4.993 5.055 8.649
angles (deg): 89.37 89.46 78.43
Element x y z (fractional)
Mg  0.000  0.000  0.000
Mn  0.036  0.570  0.661
Mn  0.481  0.040  0.824
Mn  0.484  0.044  0.503
Mn  0.486  0.053  0.164
Mn  0.896  0.513  0.994
Mn  0.920  0.491  0.335
O  0.103  0.279  0.156
O  0.117  0.296  0.837
O  0.135  0.305  0.501
O  0.347  0.845  0.667
O  0.381  0.840  0.999
O  0.597  0.234  0.661
O  0.608  0.241  0.329
O  0.626  0.236  0.998
O  0.824  0.772  0.162
O  0.825  0.761  0.493
O  0.842  0.788  0.834
F  0.350  0.847  0.329

Most intense lines, 10° ≤ 2θ ≤ 80°, sorted by position:
| 2theta | I/Imax |
| --- | --- |
| 22.9 | 100 |
| 28.1 | 62 |
| 35.9 | 20 |
| 36.2 | 42 |
| 36.7 | 22 |
| 48.9 | 23 |
| 49.6 | 21 |
| 55.1 | 15 |

Record 3
Structure and computed PXRD pattern of Li4FeP6O18 (the PBE+U geometry in the Materials Project; a wavelength of 1.5418 Å).
Intensities are scaled so that the largest is 100.

Crystal structure
a b c (Å): 7.366 7.366 13.959
angles (deg): 93.07 93.07 63.82
Element x y z (fractional)
Li  0.040  0.299  0.423
Li  0.216  0.444  0.047
Li  0.299  0.040  0.923
Li  0.444  0.216  0.547
Li  0.556  0.784  0.453
Li  0.701  0.960  0.077
Li  0.784  0.556  0.953
Li  0.960  0.701  0.577
Fe  0.374  0.626  0.750
Fe  0.626  0.374  0.250
P  0.035  0.148  0.114
P  0.093  0.370  0.751
P  0.148  0.035  0.614
P  0.230  0.600  0.389
P  0.370  0.093  0.251
P  0.400  0.770  0.111
P  0.600  0.230  0.889
P  0.630  0.907  0.749
P  0.770  0.400  0.611
P  0.852  0.965  0.386
P  0.907  0.630  0.249
P  0.965  0.852  0.886
O  0.084  0.247  0.034
O  0.096  0.843  0.401
O  0.099  0.370  0.857
O  0.134  0.186  0.214
O  0.140  0.550  0.288
O  0.157  0.904  0.099
O  0.179  0.808  0.867
+++
I’ve sent some folks your way today:
Bryan Berghoef
Britt you might be right about Perriman’s doctrine of hell but my real question is “who has the skinny on this conversation about hell?” ie, this rob bell and reformed critics blog event that is happening this week.
Andrew P. sees most of the NT prophecies around the the hell verses as happening in the first century while others see them all happening in the future.
most people are in the middle but it might be helpful for many to start with perriman’s first century horizon and then work forward in time, rather than starting with hal lindsay and working backwards.
You’re right. I could see Perriman as a place to start and relevant info, if not necessarily a place to settle. Maybe I had a different definition of “skinny.” 😉
btw, your post on it last week was the only one I’ll point people to … the most reasonable look out there, imo. Thanks again.
I haven’t read Rob Bell’s book, and am not likely to. Nor do I claim to have the skinny on Hell, but just in case it might interest you, my 2c worth is here:
That seems like a sensible strategy to me. Just for clarity, though, I think that there are two main focal points for the judgment passages: judgment on Jerusalem and judgment on Rome. There is, of course, also a final judgment of all the dead, but it seems to me that that is somewhat marginal to the main thrust of New Testament prophecy.
Is Rob Bell about to become irrelevant or will his message resonate with a new generation of Christians? Your thoughts and comments would be appreciated at: